Senate GOP Leader Ortt Pens Letter To Attorney General Letitia James Requesting Expanded Investigation Into Cuomo Administration’s Covid-19 Failures

“For the thousands of New Yorkers who lost a cherished loved one in a nursing home, the grocery store worker who can’t get a vaccine because of this governor’s tight-fisted yet incompetent administration of vaccines, and for the professionals who felt compelled to resign from a Department of Health driven not by science but by politics, justice must be served.”

New York State Senate Republican Leader Rob Ortt today penned a letter to Attorney General Letitia James respectfully requesting her office to formally broaden the scale and scope of its investigation into COVID-19 related nursing home deaths to also include an investigation into the clandestine February 10, 2021, meeting held between Members of the Senate and Assembly and top staff members from Governor Cuomo’s Administration.  

The letter was sent in response to the Governor’s bizarre press conference yesterday, which left New Yorkers questioning what else the Governor’s office and his Department of Health are secretly hiding. After refusing to apologize and incoherently trying to blame anybody but himself for the emotional turmoil wrought by his own disinformation surrounding nursing home deaths, the Governor added another layer of deception by falsely claiming his administration had notified both houses of the State Legislature regarding the U.S. Department of Justice inquiry into these deaths. The Senate Republican Conference was unequivocally never notified of this inquiry, not even after multiple attempts to get answers on nursing home deaths from the Cuomo Administration.

“This Governor has deceived and lied for months, and even when his Administration’s deception comes crashing down around him he’s powerless to do anything but continue to deceive and lie. We can no longer allow this Governor to get away with deceiving the people of New York State. There must be a full, top to bottom investigation of the Cuomo Administration’s decisions on nursing homes, its subsequent and continuing coverup of those decisions, the mass exodus of Department of Health employees, and the current failures of this administration’s vaccination efforts. Our Attorney General was elected to be the “People’s lawyer.” Our conference is asking the AG’s office, acting as an independent state governmental entity, to undertake this investigation and prosecute if there is any criminal liability,” said Leader Ortt.

Senate Democrats have rejected the Republican Conference’s calls to rescind the Governor’s emergency powers no less than fourteen times since last year, and they continue to reject motions to issue subpoenas in light of the Attorney General’s report.

Leader Ortt concluded, “The Senate Democrats’ very recent decision to apparently revoke the Governor’s emergency powers, as reported in today’s Wall Street Journal, is no profile in courage. The decision to strip the Governor’s executive authority should have been made months ago. The Senate Majority failed to see what is plain to millions of New Yorkers: that Governor Cuomo’s dictatorial instincts are destructive to this state. They have been silent enablers in his megalomaniacal effort to dominate state government regardless of how many people get hurt. The ones who have suffered the most are the thousands of families who lost loved ones in nursing homes. Because the Senate and Assembly have failed so miserably in carrying out their constitutional duty to check this governor’s executive authority, it is absolutely imperative that the U.S. Department of Justice and the New York State Attorney General carry out full investigations of the Governor’s Office and the NYS Department of Health.”

“For the thousands of New Yorkers who lost a cherished loved one in a nursing home, for the grocery store worker who can’t get a vaccine because of this governor’s tight-fisted yet incompetent administration of vaccines, and for the professionals who felt compelled to resign from a Department of Health driven not by science but by politics, justice must be served.”

The letter (attached) also asks the Attorney General to immediately direct both the Executive Chamber and the Department of Health to preserve and retain any and all communications -- from March 2020 to present day -- related to the March 25 directive to nursing homes and the subsequent counting and public disclosure of COVID-related deaths. These documents are crucial to ensuring the integrity of any investigation.

A timeline of actions taken by the Senate Republican Conference since the beginning of January 2021

January 11, 2021 – Senate Republicans advance hostile amendment presented by Senator Pam Helming to rescind the Governor’s emergency powers. Rejected by Senate Democrats.

January 12, 2021 - Senate Republicans advance hostile amendment presented by Senator Dan Stec to rescind the Governor’s emergency powers. Rejected by Senate Democrats.

January 19, 2021 - Senate Republicans advance hostile amendment presented by Senator Patrick Gallivan to curtail the Governor’s emergency powers. Rejected by Senate Democrats.

January 20, 2021 - Senate Republicans advance hostile amendment presented by Senator Tom O’Mara to rescind the Governor’s emergency powers. Rejected by Senate Democrats.

January 25, 2021 - Senate Republicans advance hostile amendment presented by Senator Anthony Palumbo to rescind the Governor’s emergency powers. Rejected by Senate Democrats.

January 26, 2021 - Senate Republicans advance hostile amendment presented by Senator George Borrello to rescind the Governor’s emergency powers. Rejected by Senate Democrats.

January 28, 2021 –Attorney General James releases report on nursing home deaths during the pandemic and estimates the state undercounted deaths by as much as 50%. Later that day, Health Commissioner Howard Zucker releases a statement revealing total of nursing home deaths is 12,473 when including residents’ deaths in hospitals. Leader Ortt calls for the resignation of Commissioner Zucker. Senators Serino and Jim Tedisco again call for the Senate Majority to issue subpoenas to compel the state to reveal the actual number of COVID-19 deaths in nursing homes in light of the release of Attorney General James’ report on COVID-19 in Nursing Homes.

January 29, 2021 – Senate Republicans send letter to New York’s Congressional Delegation to obtain an update from the Civil Rights Division of the Department of Justice on its inquiry into the State’s handling of the COVID-19 crisis in nursing homes.

February 1, 2021 – Senator O’Mara makes a motion in the Senate Investigations and Government Operations Committee Meeting to issue a subpoena to DOH to provide nursing home data and communications related opt nursing home COVID-19 deaths. Rejected by Senator James Skoufis, Chair of Senate Investigations and Government Operations.

February 1, 2021 - Senate Republicans advance hostile amendment presented by Senator O’Mara to rescind the Governor’s emergency powers. Rejected by Senate Democrats.

February 2, 2021 - Senate Republicans advance hostile amendment presented by Senator Ed Rath to rescind the Governor’s emergency powers.Rejected by Senate Democrats.

February 3, 2021 - Senate Republicans advance hostile amendment presented by Senator Stec to rescind the Governor’s emergency powers. Rejected by Senate Democrats.

February 3, 2021 – Senator Serino and members of the conference host a virtual press conference to demand that Senate Democrats issue subpoenas to launch an investigation into the state’s handling of the COVID-19 crisis in nursing homes.

February 8, 2021 - Senate Republicans advance hostile amendment presented by Senator Daphne Jordan to rescind the Governor’s emergency powers. Rejected by Senate Democrats.

February 8, 2021 – Senators O’Mara and Gallivan call on Senate Finance Committee Chair, Liz Krueger, to schedule multiple Joint Legislative Budget Hearings on Health instead of a single one scheduled on February 25, 2021. “In the wake of the Attorney General’s scathing nursing home report, mass resignations at the State Department of Health (DOH), and bipartisan calls for investigation into the Governor’s administration, at least one of these hearings should be solely committed to questioning the embattled DOH Commissioner Howard Zucker.” No response from Senate Democrats.

February 9, 2021 – Senator Serino makes a motion in the Senate Aging Committee Meeting to immediately launch a bipartisan investigation utilizing subpoena power into the COVID-19 nursing home scandal.

February 9, 2021 - Senate Republicans advance hostile amendment presented by Senator Serino to rescind the Governor’s emergency powers. Rejected by Senate Democrats

February 10, 2021 - Senate Republicans advance hostile amendment presented by Senator Peter Oberacker to rescind the Governor’s emergency powers. Rejected by Senate Democrats.

[Here the page breaks off for calculated crystals]
'''
Material: LaHg2S
Method: DFT, PBE
State: relaxed

abc: 4.219 4.222 11.689
angles: 99.71 90.00 90.00
Sites, in units of the cell vectors:
1 La 0.750 0.816 0.642
2 La 0.250 0.184 0.358
3 Hg 0.750 0.430 0.882
4 Hg 0.250 0.570 0.118
5 Hg 0.250 0.930 0.883
6 Hg 0.750 0.070 0.117
7 S 0.250 0.300 0.608
8 S 0.750 0.700 0.392

Properties
The value obtained for the calculated volume is 205.2 Å³/cell. For the total energy, the calculation gives -3.47 eV per atom. The space-group type is P2_1/m (11). The uncorrected formation energy is -1.053 eV/atom.


Compound: K2Tl6CdIn
Source: Alexandria
Functional: GGA-PBE
Structure: relaxed

Lattice parameters (Å, degrees): 7.9415 7.9415 41.1117 90.00 90.00 120.00
Space group R-3m (No. 166, hexagonal axes)
One atom of each set of equivalent atoms:
K  0.0000  0.0000  0.1357
K  0.0000  0.0000  0.3069
Tl  0.0505  0.5252  0.8775
Tl  0.0574  0.5287  0.7237
Cd  0.0000  0.0000  0.0000
Cd  0.0000  0.0000  0.5000
In  0.0000  0.0000  0.4170

Values from the calculation:
Energy of formation = 0.039 eV per atom
D(E_F) = 0.57 states/eV per atom


[1]
AcAgPd: optimized geometry, PBE-GGA.

Calculated values
As for the space-group type: Pmma (51). The calculation puts the energy relative to the elements at -595 meV per atom.

a = 3.938 Å, b = 8.465 Å, c = 4.636 Å
α = 90.00°, β = 90.00°, γ = 90.00°
Atoms (fractional coordinates):
Ac  0.688  0.282  0.216
Ac  0.688  0.718  0.716
Ag  0.188  0.914  0.216
Ag  0.188  0.086  0.716
Pd  0.188  0.590  0.216
Pd  0.188  0.410  0.716

---

[2]
AcAgPd: optimized geometry, PBE-GGA.

Calculated values
As for the space-group type: F-43m (216). The calculation puts the energy relative to the elements at -48 meV per atom.

a = 5.053 Å, b = 5.053 Å, c = 5.053 Å
α = 60.00°, β = 60.00°, γ = 60.00°
Atoms (fractional coordinates):
Ac  0.000  0.000  0.000
Ag  0.250  0.250  0.250
Pd  0.750  0.750  0.750

---

[3]
AcAgPt: optimized geometry, PBE-GGA.

Calculated values
As for the space-group type: F-43m (216). The calculation puts the energy relative to the elements at -639 meV per atom.

a = 4.927 Å, b = 4.927 Å, c = 4.927 Å
α = 60.00°, β = 60.00°, γ = 60.00°
Atoms (fractional coordinates):
Ac  0.250  0.250  0.250
Ag  0.750  0.750  0.750
Pt  0.000  0.000  0.000

---

[4]
AcAgPt: optimized geometry, PBE-GGA.

Calculated values
As for the space-group type: F-43m (216). The calculation puts the energy relative to the elements at -229 meV per atom.

a = 5.044 Å, b = 5.044 Å, c = 5.044 Å
α = 60.00°, β = 60.00°, γ = 60.00°
Atoms (fractional coordinates):
Ac  0.000  0.000  0.000
Ag  0.250  0.250  0.250
Pt  0.750  0.750  0.750

---

[5]
AcAgSb2: optimized geometry, PBE-GGA.

Calculated values
As for the space-group type: P4/nmm (129). The value obtained for the total energy is -36.03 eV/cell.

a = 4.520 Å, b = 4.520 Å, c = 11.230 Å
α = 90.00°, β = 90.00°, γ = 90.00°
Atoms (fractional coordinates):
Ac  0.000  0.500  0.260
Ac  0.500  0.000  0.740
Ag  0.000  0.000  0.000
Ag  0.500  0.500  0.000
Sb  0.500  0.000  0.162
'''

February 12, 2021 – The Senate Republican Conference calls for a special session to revoke the Governor’s emergency powers in the wake of the admission by Melissa DeRosa of a cover-up regarding COVID-19 nursing home deaths and an immediate investigation into the administration. Additionally, Senators O’Mara and Serino call on Majority Leader Andrea Stewart-Cousins to Strip Committee Chair Positions from complicit Senators

February 13, 2021 – Janice Dean reports that Secretary to the Governor, Melissa DeRosa, lied when she said the administration was working to respond to the DOJ request stating she spoke to a senior DOJ official in December who said, “New York State has failed to provide any data as of their October request.”

February 15, 2021 – Senator Serino submits FOIL request to the Governor’s Administration for a full transcript and recording of the secret meeting held on February 10, 2021 between top members of the Administration and members of the Senate Majority regarding the months-long cover-up of COVID-19 nursing home deaths.

February 16, 2021 - Republican Conference sends letter to New York State Attorney General James requesting further investigation into the Governor’s intentional cover-up of COVID-19 nursing home fatality numbers. 
